2,600 Belgian clients involved in Credit Suisse investigation

Image Credit: Credit Suisse in Zurich. © Plaza Financiera, Flickr Commons
The federal prosecutor’s office in Brussels has opened a criminal investigation into the Swiss bank Credit Suisse, in particular the dealings of 2,600 Belgian clients suspected of using Swiss bank accounts to evade taxes.
“A criminal investigation has been opened against Credit Suisse for money laundering and unlawfully acting as a financial intermediary, as well as against Belgian customers who have not yet undergone tax regularisation.”
On several occasions, the tax authorities in Belgium have offered a partial amnesty to anyone wishing to repatriate money hidden in accounts abroad, making it possible for them to launder their money legally on payment of a penalty.
The investigation was triggered by leaked documents detailing 2,600 Belgian clients of the bank – the second-biggest in Switzerland – who held accounts there between 2003 and 2014. The documents were passed by the French authorities to their Belgian counterparts.
The object of the operation was to hide the money in the Credit Suisse accounts from the Belgian tax authorities – a practice that better international cooperation is making more and more difficult, though still not impossible.
In some cases, the money concerned disappeared into strawman companies established in tax havens specifically to act as smoke-screens to tax investigators by making it impossible to find out who the owners of the companies really are.
“We are not aware of an investigation against Credit Suisse in Belgium,” a spokesman for the bank told Belga news agency.
“Credit Suisse has a strict zero tolerance policy and only wants to do business with customers who have paid their taxes and fully declared their assets. We strictly comply with all laws, rules and guidelines that apply in the markets in which we operate.”
Meanwhile the tax authorities are ready to carry out their own investigation based of another set of leaked documents they received earlier this year from an undisclosed source.
“At the beginning of this year, information was communicated to us about Belgians with accounts at Credit Suisse,” said finance ministry spokesperson Francis Adyns.
“That data is being analysed, but the investigations have not really started yet so as not to obstruct the criminal investigation. We cannot give more information at this time.”
In a previous case, the Belgian authorities investigated another bank, HSBC, and uncovered 3,137 accounts belonging to 2,450 Belgian clients accused of using similar means to avoid taxation.
At the end of the investigation last October, the tax authorities reached a settlement with the bank of €295 million in penalties, as well as recouping half a billion euros in back taxes and penalties from clients involved.
In that case too, the case was launched by the leak of documents by a former HSBC employee to the French authorities, who passed them on to Brussels.
____________
No. 1
The following is a theoretical powder diffraction line list of Zr2Ta4Ni3C3. It was derived from a structure optimized by DFT (GGA-PBE), using Cu Kα, 1.54184 Å.
Lines closer than 0.1° are merged.

Structural model:
```
Zr2Ta4Ni3C3
1.0
4.6931 -2.7072 0.0000
4.6931 2.7072 0.0000
-3.2626 0.0000 13.2126
Zr Ta Ni C
4 8 6 6
Cartesian
2.2940 2.2637 8.1380
2.1984 2.2637 11.6808
3.9253 -2.2637 1.5317
3.8297 -2.2637 5.0746
2.3112 0.4393 1.1845
2.2869 0.4856 5.4223
0.6799 -0.4393 7.7908
0.6556 -0.4856 12.0286
5.4682 0.4856 1.1840
5.4439 0.4393 5.4218
3.8369 -0.4856 7.7903
3.8126 -0.4393 12.0280
-0.1748 0.8453 9.9094
1.4565 -0.8453 3.3031
3.8775 0.3955 3.3031
2.2462 -0.3955 9.9094
4.6672 0.8453 9.9095
6.2985 -0.8453 3.3032
0.7153 1.3536 6.6063
3.9081 1.3498 0.0013
3.8469 1.3498 6.6049
2.3466 -1.3536 0.0000
2.2768 -1.3498 6.6076
2.2157 -1.3498 13.2112
```

Top 8 peaks for 5 to 70 degrees two-theta, sorted by position:
Position (°2θ)	I_rel
26.99	31.2
33.08	57.2
33.76	60.3
38.88	99.6
39.06	100.0
39.20	95.4
40.99	61.8
59.08	49.9

=====

No. 2
The following is a theoretical powder diffraction line list of Mg2CuGeS4. It was derived from a structure optimized by DFT (GGA-PBE), using Cu Kα, 1.54184 Å.
Lines closer than 0.1° are merged.

Structural model:
```
Mg2CuGeS4
1.0
-2.8274 2.8274 5.4691
2.8274 -2.8274 5.4691
2.8274 2.8274 -5.4691
Mg Cu Ge S
2 1 1 4
Cartesian
2.8274 0.0000 2.7346
0.0000 2.8274 2.7346
0.0000 0.0000 0.0000
0.0000 0.0000 5.4691
1.3574 1.3574 -1.3112
1.4701 -1.4701 6.7803
1.4701 1.4701 4.1579
-1.4701 1.4701 6.7803
```

Top 8 peaks for 5 to 70 degrees two-theta, sorted by position:
Position (°2θ)	I_rel
16.21	15.8
22.23	12.9
27.64	100.0
45.36	22.7
46.18	42.9
53.95	27.6
55.39	12.7
66.09	6.8

=====

No. 3
The following is a theoretical powder diffraction line list of TaAg. It was derived from a structure optimized by DFT (GGA-PBE), using Cu Kα, 1.54184 Å.
Lines closer than 0.1° are merged.

Structural model:
```
TaAg
1.0
2.8706 0.0000 0.0000
-1.4353 2.4860 0.0000
0.0000 0.0000 4.9582
Ta Ag
1 1
Cartesian
0.0000 0.0000 0.0000
0.0000 1.6573 2.4791
```

Top 8 peaks for 5 to 70 degrees two-theta, sorted by position:
Position (°2θ)	I_rel
17.89	8.3
36.13	26.1
36.23	30.0
40.60	100.0
52.10	18.5
64.97	16.0
68.00	1.8
68.13	21.3

=====

No. 4
The following is a theoretical powder diffraction line list of CsHfF5. It was derived from a structure optimized by DFT (GGA-PBE), using Cu Kα, 1.54184 Å.
Lines closer than 0.1° are merged.

Structural model:
```
CsHfF5
1.0
7.6007 0.0000 0.0000
0.0000 7.7904 0.0000
-3.9942 0.0000 6.6961
Cs Hf F
4 4 20
Cartesian
-0.4910 7.7879 1.9788
-2.4881 3.8977 5.3269
4.0975 0.0025 4.7173
6.0946 3.8927 1.3692
3.1467 1.2670 1.0904
1.1496 2.6281 4.4384
2.4569 5.1622 2.2577
0.4598 6.5233 5.6057
1.2893 1.6605 0.4628
-0.7078 2.2347 3.8108
1.0259 5.5581 0.9184
-0.9713 6.1274 4.2664
0.8100 3.9001 2.7583
-1.1871 7.7855 6.1063
0.9681 0.5042 4.7414
2.0510 1.6191 2.9182
0.0539 2.2760 6.2663
2.9652 3.3910 1.3933
0.6413 4.3993 5.3028
____________
[Here the page continues]
Alan Hope
The Brussels Times
Article Credit: https://www.brusselstimes.com/news/business/127990/2600-belgian-clients-involved-in-credit-suisse-investigation/